The NFT Club has made public an investigative report that examines Google searches about non-fungible tokens as well as the number of NFT organizations located in different parts of the world. The analysis determines which country has the most interest in NFTs by looking at the number of Google searches related to NFTs that occur for every 100,000 persons in that country. According to statistics provided by the NFT Club, Taiwan is now in first place worldwide with 2,300,330 firms and a population of around 23,888,595.
According to the study conducted by the NFT Club, “We had the chance of differentiating which nations create the most NFT-related look using information from Google search.” “We looked at a range of frequent NFT search subjects and tracked their total volumes over the preceding year for fifty different nations to determine where people are most interested in non-fungible tokens,” the authors write.
Records of crystals, kept here for reference:
For Nb2SnO6, a cell relaxed with GGA-PBE gives the simulated powder diffractogram in this record (Cu Kα X-rays).
Intensities are scaled so that the largest is 100.

Principal peaks in the range 2θ = 10–90°, in order of rising 2θ:
2θ/deg  Rel. int.
24.20  23
28.06  100
28.69  96
30.83  40
31.37  22
36.21  17
48.28  27
48.65  16
51.57  20
52.78  26
53.89  25
60.60  12

Atomic structure:
```
Nb2SnO6
1.0
8.7063 -2.4806 0.0000
8.7063 2.4806 0.0000
-0.2069 0.0000 5.7035
Nb Sn O
4 2 12
Direct
0.0714 0.5880 0.8261
0.4120 0.9286 0.6739
0.5880 0.0714 0.3261
0.9286 0.4120 0.1739
0.2252 0.7748 0.2500
0.7748 0.2252 0.7500
0.0088 0.8454 0.9073
0.1546 0.9912 0.5927
0.1630 0.2760 0.8528
0.2760 0.1630 0.3528
0.3230 0.3912 0.5810
0.3912 0.3230 0.0810
0.6088 0.6770 0.9190
0.6770 0.6088 0.4190
0.7240 0.8370 0.6472
0.8370 0.7240 0.1472
0.8454 0.0088 0.4073
0.9912 0.1546 0.0927
```

***

For Sr2NbSnO6, a cell relaxed with GGA-PBE gives the simulated powder diffractogram in this record (Cu Kα X-rays).
Intensities are scaled so that the largest is 100.

Principal peaks in the range 2θ = 10–90°, in order of rising 2θ:
2θ/deg  Rel. int.
18.68  1
21.60  6
30.73  100
37.87  1
44.01  34
49.54  2
54.64  41
64.00  21
68.40  1
72.67  18
80.94  7
89.02  22

Atomic structure:
```
Sr2NbSnO6
1.0
0.0000 4.1147 4.1147
4.1147 0.0000 4.1147
4.1147 4.1147 0.0000
Sr Nb Sn O
2 1 1 6
Direct
0.2500 0.2500 0.2500
0.7500 0.7500 0.7500
0.0000 0.0000 0.0000
0.5000 0.5000 0.5000
0.2500 0.2500 0.7500
0.2500 0.7500 0.2500
0.2500 0.7500 0.7500
0.7500 0.2500 0.2500
0.7500 0.2500 0.7500
0.7500 0.7500 0.2500
```

* * * * *

Diffraction record for SmYO3. The powder diffractogram is computed, not measured: it uses a structure optimized by DFT (PBE) and copper Kα.

Principal peaks in the range 2θ = 10–80°, by angle:
2θ/deg, I (rel.), (hkl)
29.7, 24, 2 0 0
29.9, 100, 1 1 2
30.4, 24, 0 2 0
42.5, 12, 0 0 4
43.1, 21, 2 2 0
52.8, 12, 2 0 4
52.9, 18, 3 1 2
53.2, 12, 0 2 4
53.8, 25, 1 3 2
62.1, 11, 2 2 4

Atomic structure:
a = 6.0101 Å, b = 5.8736 Å, c = 8.4990 Å
α = 90.00°, β = 90.00°, γ = 90.00°
Fractional positions:
Sm (0.0362, 0.0054, 0.0000)
Sm (0.4638, 0.5054, 0.5000)
Sm (0.5362, 0.4946, 0.0000)
Sm (0.9638, 0.9946, 0.5000)
Y (0.0190, 0.5008, 0.2673)
Y (0.4810, 0.0008, 0.7673)
Y (0.5190, 0.9992, 0.2673)
Y (0.9810, 0.4992, 0.7673)
O (0.0833, 0.3664, 0.5260)
O (0.1267, 0.8486, 0.7271)
O (0.2340, 0.7935, 0.3669)
O (0.2660, 0.2935, 0.8669)
O (0.3733, 0.3486, 0.2271)
O (0.4167, 0.8664, 0.0260)
O (0.5833, 0.1336, 0.5260)
O (0.6267, 0.6514, 0.7271)
O (0.7340, 0.7065, 0.3669)
O (0.7660, 0.2065, 0.8669)
O (0.8733, 0.1514, 0.2271)
O (0.9167, 0.6336, 0.0260)

* * * * *

Record 1
Simulated X-ray powder pattern
Compound: KCd10Ag3
Radiation: copper Kα
Structure: a PBE-relaxed structure

Most intense lines, 10 to 90 degrees two-theta, sorted by position:
Australia, which ranks second in the world in terms of overall curiosity, is home to a large number of people who are familiar with NFT looks. In the beginning, there were 2,137,060 NFT searches made in Australia out of a total population of around 26,068,792 persons. Canada, Iceland, and New Zealand are just behind New Zealand and Canada when it comes to the number of persons interested in NFTs per 100,000 people. The top two nations in this category are Taiwan and Australia.
The analysis conducted by the NFT Club found that the United States is home to the NFT organization with the highest level of funding, Forte Labs, while France is home to the NFT organization with the second-highest level of funding, Sorare. The United States has the most NFT organizations overall, with 91 firms reported. This indicates that the United States is home to 41.55 percent of all NFT new enterprises, making it the country with the most NFT organizations overall. There are now 24 NFT firms operating in Singapore, which accounts for 10.96 percent of the total number of NFT new businesses operating globally.
India now has the third-highest number of NFT organizations in the world. The country’s 11 NFT organizations account for 5.02 percent of the total number of NFT organizations worldwide. After India comes to Canada, then Australia, Japan, and finally the United Kingdom in terms of an individual standing. The United States not only has the most non-profit organizations, but it also has five of the ten most renowned organizations that get funding for non-profit work. NFT firms located in the United States that have received a combined total of $1.6 billion in investment include companies such as Forte Labs, Opensea, Fancraze, Genies, and Pixel Vault.